JRS documentary to shed light on the real poverty of asylum seekers and migrants in Malta

A documentary by the Jesuit Refugee Service looks at the real causes of destitution of migrants and asylum seekers.

The Jesuit Refugee Service has urged the Maltese government not to shy away from the challenges of migration and integration, acknowledging the difficulties experienced in the past few years posed by the arrivals of asylum seekers.

The NGO has launched a documentary, 'Suspended Lives', centered around the lives of migrants in Malta and the result of a pilot study by the Advocacy Network for Destitute Forced Migrants (ANDES).

The study on migrant destitution looks at how the Maltese reception system affects the lives of asylum seekers and migrants in Malta, identifying the main categories of migrants facing hardship.

"The documentary was an awakening that showed the deep scars which asylum seekers carry all throughout their journey... It reveals their realities, hopes, fears and hardships that asylum seekers face everyday," Dr Roberta Buhagiar, ANDES coordinator, said.

Quantum chemistry results from another source follow >
# 1
Entry from the Open Molecules 2025 dataset: the molecule C4H5NO5 in a non-equilibrium geometry (the ωB97M-V functional and the def2-TZVPD basis).

```
15
Properties=species:S:1:pos:R:3:lowdin_charge:R:1
C -0.5289 -1.2484 -0.9381 -0.001
C 0.8366 -0.6996 -1.0375 -0.020
C -1.2930 -0.3906 -0.1943 -0.329
C 0.8547 0.4064 -0.2763 -0.326
N -0.4167 0.6429 0.2197 -0.046
O -2.5848 -0.1760 -0.0112 0.111
O 1.8524 1.2209 0.1575 0.103
O 0.0724 2.2283 2.9734 -0.004
O -0.7578 1.7476 0.8129 0.043
O -0.8628 1.5243 2.2972 -0.074
H -0.6681 -2.1655 -1.5045 0.103
H 1.7300 -0.9496 -1.5749 0.104
H -2.8837 -0.9396 0.4846 0.122
H 2.5185 1.4719 -0.4523 0.096
H -0.2720 3.1248 3.1704 0.118
```

highest occupied orbital energy: -7.950 eV
lowest unoccupied orbital energy: 0.7 eV
multiplicity: 1

# 2
Entry from the Open Molecules 2025 dataset: a structure of composition C4H5NOS in a non-equilibrium geometry (the ωB97M-V functional and the def2-TZVPD basis).

```
12
Properties=species:S:1:pos:R:3:lowdin_charge:R:1
C 0.5959 -0.1821 -0.1501 -0.448
C 0.3901 1.2595 0.3590 -0.126
C -0.4631 2.0388 -0.4638 -0.048
C 1.8709 -0.7847 -0.2109 -0.295
H -2.0855 0.5964 0.6457 -0.189
H 0.7259 1.6712 1.5890 0.205
H -0.8554 1.7842 -1.4558 0.063
H -0.7556 3.0804 0.0104 0.093
H 2.0536 -1.8840 -0.5145 0.153
N -0.3410 -1.0148 -0.3965 -0.186
O 2.7506 -0.1963 0.2799 0.095
S -2.0665 -0.6602 0.1911 0.684
```

highest occupied orbital energy: -9.454 eV
lowest unoccupied orbital energy: -0.3 eV
multiplicity: 1

# 3
Entry from the Open Molecules 2025 dataset: the molecule C4H5NOS in a non-equilibrium geometry (the ωB97M-V functional and the def2-TZVPD basis).

```
12
Properties=species:S:1:pos:R:3:lowdin_charge:R:1
C -0.6914 1.7793 -0.1573 -0.339
C -2.1033 -0.6454 0.0484 -0.557
C 0.4708 1.1858 -0.0483 -0.207
C 1.7215 0.8835 0.1358 -0.003
N -0.9654 -1.1243 -0.1725 -0.065
O -0.9731 -2.5519 -0.0531 -0.082
S -2.4291 1.0466 0.1011 0.895
H -0.7328 2.8268 -0.1896 0.038
H -2.9104 -1.1954 0.5114 0.078
H 2.2171 1.2842 1.0754 0.092
H -0.3176 -2.8864 -0.6917 0.092
H 2.2718 0.2731 -0.5651 0.057
```

highest occupied orbital energy: -8.441 eV
lowest unoccupied orbital energy: 0.7 eV
multiplicity: 1

# 4
Entry from the Open Molecules 2025 dataset: the molecule C4H5NOS in a non-equilibrium geometry (the ωB97M-V functional and the def2-TZVPD basis).

```
12
Properties=species:S:1:pos:R:3:lowdin_charge:R:1
C 0.0096 -0.7237 0.9586 -0.256
C -0.1335 0.4979 -0.0176 -0.120
C 0.5455 0.9346 -1.0660 -0.079
C 1.7945 0.1726 -1.6910 -0.210
H -3.2172 -0.8030 2.5627 -0.161
H 0.7939 -1.4570 0.9177 0.091
H -0.9775 1.1191 0.5089 0.058
H 0.2499 1.8790 -1.6590 0.118
H 2.0814 0.4169 -2.8971 0.162
N -0.8820 -1.0398 1.8408 -0.280
O 2.2389 -0.7672 -1.0267 -0.003
S -2.5035 -0.2293 1.5685 0.680
```

highest occupied orbital energy: -9.140 eV
lowest unoccupied orbital energy: -0.7 eV
multiplicity: 1

# 5

Fr Joseph Cassar, JRS director, said that the conditions asylum seekers were living in and the fears of removal under Dublin II, were contributing to mental problems for asylum seekers.

"The study shows that the allowance given to persons who do not benefit from refugee status, who have medical conditions or who have a disability, is not sufficient. A number of persons with medical vulnerability are being requested to purchase their own medicines and to pay for certain medical services," Dr Buhagiar said.

The documentary will be publicly screened throughout 2011 until World Refugee Day on 20 June.

Alfred Galea
TS, I have a feeling you dropped out of school at an early stage, like kindergarten. Are you sure this "documentary" is made by the clergy?? The JRS is just another organisation sucking up euros, no more no less. They should concentrate on the souls of the people, like shepherds tending their sheep, not stick their nose where it doesn't belong. It ain't gonna buy them heaven.....they shopuld lead by example and open up their properties to the poor instead of making money off them. TAX FREE.
eleonoray86cws Ca?uana
@Joe South "I said illegal immigrants not illegal people" So, what are immigrants? Trees? @RJ If you notice well Louise favorite hate is not just towards Africans but the clergy. I am more than sure that since this documentary about Africans is made by members of the clergy, commenting on it must be the most enjoyable experience of her life.
@ Louise Vella - don't you have anything better to do in life than leaving obnoxious comments whenever a news item on immigrants or refugees is published? I mean, seriously: get a chill pill!
Benjamin Sant
And now we hear that the JFS - Jesuit Refugee Services are one of the beneficaries getting money from L-Istrina this year. http://www.timesofmalta.com/articles/view/20101217/local/istrina-beneficiaries I believe our donations should first go to help the many Maltese people, and their famillies, who need medical treatment abroad.
Alfred Galea
TS...I said illegal immigrants not illegal people.....there IS a difference you know.....yeah, my best friend is an African...I heard that before. As for Cassar SJ and Somalia, it would be even better for his CV, not only will he be able to convert them to christianity but he'll make them respect everybody's human rights. Mikey, when does telling it like it is became "hatred"?? Louise Vella, and unfortunately I do not know the lady, states facts and backs up her arguments with facts, you on the other hand just parrots what bleeding hearts are always saying, that anybody who does not want illegal immigrants to live off the taxpayers and does not want his/her country become another Malmo or Birmingham, is a xenophobe/racist. It's old shit Mikey, if looking after one's country makes one a racist then I am one.
Albert Zammit
Louise Vella does not have a right to comment the way she does about the Jesuits, for instance. But her hatred for them has no limits. Absolutely none at all. She is so crazy about past experiences that she is unable to differentiate between what is right and what is wrong. That is why it is amazing how she is still in education.
eleonoray86cws Ca?uana
@Joe South I never said Louise Vella should not have a right to comment. She has, and I have as much right to comment on her comments and the despicable personality she projects. How many illegal immigrants at my house - zero. I am a law abiding person and keep nothing illegal in my house. Unless of course you are referring to African people. Illegal people do not exist. Yes I have African friends who come at my house for a coffee and vice versa. Your comment on Cassar SJ being welcome in Somalia, only confirms your ignorance on the country. The Somali government (if you can call it government) hates people who speak up for human rights, be they religious or not. He DEFINITELY WOULD NOT be welcome.
Alfred Galea
Truth seeker???? She has as much right as you to comment on here. How many ILLEGAL IMMIGRANTS have you in your home?? How many ILLEGAL IMMIGRANTS have you helped out lately by giving them your hard earned money so they can go and booze it up and prey on white women in Paceville?? The documentary is gonna be the usual "whitey is responsible for all our problems" crap that comes out of bleeding hearts. Cassar SJ should do what Jesus told his apostles...to go out like sheep among the wolves....I'm sure he'd be welcome in Somalia.
eleonoray86cws Ca?uana
@Louise Vella How about watching the documentary and learn something? What a sick woman. Will the comments here have Part 1,2,3,4,5 like those on the ToM? Or do you leave the numbers out when you copy and paste?
Illegal immigrants have been a huge problem for Malta, one we did not ask for and did not deserve. On top of it we get JRS harassing the Maltese government, media and government with its constant studies, press releases and documentaries. These serve to feed foreign media and NGOs which try to give Malta a bad name. They are the ones who have been kicking Malta in the face while it was down. If JRS wants the reception suystem to improve, they should house illegal immigrants in their own premises, starting with mount St Joseph, the huge property they have outside Mosta, which they use for fee-paying retreats for Malta’s elite and other profit-making events. "The study shows that the allowance given … is not sufficient.” Are Maltese taxpayers expected to pay for ever higher allowances for illegal immigrants?
Michael Gauci
But from evidence before peoples eyes a different lifestyle is seen. Paceville is not short of migrants any night of the week. Some Migrants are better clothed and have better mobile phones than Maltese.Birzebbuga seafront is never without lager swilling migrants. This is another attempt to soften the hearts of the locals. Europe has too many migrants from the third world. Europeans have had enough and this will lead to major problems in the future. The JRS should help migrants I agree, help them return to their own countries.
JRS, stop pestering us about illegal immigrants because we are fed up with then and you. They should not have come here in the first place. We have our own poor and on the verge of poverty to look after. Just go do your missionary work in the illegal immigrants own countries and take the illegal immigrants back with you. As for more money just put your money where your big mouth is and pay them yourselves. As for reception we should have no reception facilities for illegal immigrants except facilities where they are kept locked up until they are repatriated.